### Data
┌──
(1)
Material: MgIr3O
Method: DFT, PBE-GGA
State: optimized geometry

a b c (Å): 4.1589 4.1589 4.1589
angles (deg): 90.00 90.00 90.00
With the nearest neighbours (Å) after each atom.
Sites, in units of the cell vectors:
Ir1 0.0000 0.0000 0.5000  2 O 2.08
Mg1 0.5000 0.5000 0.5000  12 Ir 2.94
Ir2 0.0000 0.5000 0.0000  2 O 2.08
O1 0.0000 0.0000 0.0000  6 Ir 2.08
Ir3 0.5000 0.0000 0.0000  2 O 2.08

Values from the calculation:
* formation energy (no corrections): 0.454 eV/atom
* crystal system: cubic
* energy above the lowest structure with this stoichiometry: 0.0 meV/atom


(2)
Material: CeNdTlOs
Method: DFT, PBE-GGA
State: optimized geometry

a b c (Å): 3.4106 3.4106 8.7304
angles (deg): 90.00 90.00 90.00
With the nearest neighbours (Å) after each atom.
Sites, in units of the cell vectors:
Nd1 0.5000 0.5000 0.7768  4 Os 3.05, 4 Nd 3.41
Ce1 0.5000 0.5000 0.3705  4 Os 2.94
Tl1 0.0000 0.0000 0.0752  4 Tl 3.41, 4 Ce 3.53, 4 Nd 3.55
Os1 0.0000 0.0000 0.5622  4 Ce 2.94, 4 Nd 3.05

Values from the calculation:
* crystal system: tetragonal
* DFT total energy: -6.2887 eV per atom


(3)
Material: KUCdTe3
Method: DFT, PBE-GGA
State: optimized geometry

a b c (Å): 4.5189 9.5772 10.8170
angles (deg): 107.95 90.00 90.00
With the nearest neighbours (Å) after each atom.
Sites, in units of the cell vectors:
Te1 0.2500 0.7664 0.4601  3 Cd 2.88-3.00
Te2 0.2500 0.5426 0.8379  3 U 3.10-3.12
Cd1 0.7500 0.9132 0.3896  4 Te 2.81-3.00
U1 0.7500 0.3285 0.8622  6 Te 3.10-3.32
K1 0.2500 0.2114 0.2395  7 Te 3.55-3.91
U2 0.2500 0.6715 0.1378  6 Te 3.10-3.32
K2 0.7500 0.7886 0.7605  7 Te 3.55-3.91
Te3 0.2500 0.0990 0.8734  1 Cd 2.81
Te4 0.7500 0.9010 0.1266  1 Cd 2.81
Te5 0.7500 0.4574 0.1621  3 U 3.10-3.12
Te6 0.7500 0.2336 0.5399  3 Cd 2.88-3.00
Cd2 0.2500 0.0868 0.6104  4 Te 2.81-3.00

Values from the calculation:
* formation energy (no corrections): -0.676 eV/atom
* crystal system: monoclinic


(4)
Material: NpNbVOs
Method: DFT, PBE-GGA
State: optimized geometry

a b c (Å): 4.5563 4.5563 4.5563
angles (deg): 60.00 60.00 60.00
With the nearest neighbours (Å) after each atom.
Sites, in units of the cell vectors:
V1 0.5000 0.5000 0.5000  4 Os 2.79, 4 Np 2.79
Os1 0.2500 0.2500 0.2500  4 Nb 2.79, 4 V 2.79
Np1 0.7500 0.7500 0.7500  4 Nb 2.79, 4 V 2.79
Nb1 0.0000 0.0000 0.0000  4 Os 2.79, 4 Np 2.79

Values from the calculation:
* crystal system: cubic
* DFT total energy: -10.6326 eV per atom


(5)
Material: RbDySn2I8
Method: DFT, PBE-GGA
State: optimized geometry

a b c (Å): 7.8049 7.3359 9.7485
angles (deg): 89.84 89.86 88.68
With the nearest neighbours (Å) after each atom.
Sites, in units of the cell vectors:
I1 0.1558 0.7475 0.2160  1 Dy 3.04, 1 Sn 3.22
Rb1 0.0000 0.0000 0.5000  6 I 3.53-3.59
Sn1 0.4998 0.4995 0.7509  6 I 3.12-3.42
I2 0.8442 0.2525 0.7840  1 Dy 3.04, 1 Sn 3.22
I3 0.8433 0.2517 0.2156  1 Dy 3.04, 1 Sn 3.22
I4 0.3772 0.2708 0.5011  2 Sn 3.12-3.14
I5 0.1567 0.7483 0.7844  1 Dy 3.04, 1 Sn 3.22
I6 0.6762 0.7637 0.0002  1 Dy 3.10, 2 Sn 3.40-3.42
Sn2 0.5002 0.5005 0.2491  6 I 3.12-3.42
Dy1 0.0000 0.0000 0.0000  6 I 3.04-3.10
I7 0.3238 0.2363 0.9998  1 Dy 3.10, 2 Sn 3.40-3.42
I8 0.6228 0.7292 0.4989  2 Sn 3.12-3.14

Values from the calculation:
* formation energy (no corrections): -0.915 eV/atom
* crystal system: triclinic


(6)
Material: AgPRu2
Method: DFT, PBE-GGA
State: optimized geometry

a b c (Å): 7.4053 7.4053 7.4053
angles (deg): 157.45 156.21 33.01
With the nearest neighbours (Å) after each atom.
Sites, in units of the cell vectors:
Ru1 0.2725 0.7725 0.5000  4 P 2.34
Ru2 0.0832 0.0832 0.0000  2 P 2.26
Ag1 0.4435 0.4435 0.0000  6 Ru 2.83-2.89, 4 Ag 2.90-3.05
P1 0.7008 0.2008 0.5000  6 Ru 2.26-2.34

Values from the calculation:
* crystal system: orthorhombic
* energy above the lowest structure with this stoichiometry: 90.2 meV/atom

* * * * *

(1)
DFT (PBE) results for crystalline LiHo2Lu at its relaxed geometry.

Calculated values
V   28.1 A^3/atom
Energy of formation   54 kJ/mol of formula units
└──

### Brief
Find "0.2156" and "0.0002" in the rows further up, and copy these two lines and those between.

### Worked solution
I3 0.8433 0.2517 0.2156  1 Dy 3.04, 1 Sn 3.22
I4 0.3772 0.2708 0.5011  2 Sn 3.12-3.14
I5 0.1567 0.7483 0.7844  1 Dy 3.04, 1 Sn 3.22
I6 0.6762 0.7637 0.0002  1 Dy 3.10, 2 Sn 3.40-3.42